Data:
(1)
Computed, not measured: C42H43N2O4S2Ti as an isolated structure, with ωB97M-V/def2-TZVPD.

Geometry (Å):
Ti -0.2734 0.0974 -0.0669
C -0.0107 -2.4360 -3.5516
C 0.6181 -2.2291 -2.1973
C 1.7176 -1.3718 -2.0795
C 2.0736 -0.4249 -3.1935
C 2.5182 -1.3914 -0.9281
C 3.7519 -0.5286 -0.9416
C 2.2060 -2.2723 0.1118
C 3.0814 -2.4631 1.3182
C 1.0046 -2.9987 0.0627
C 0.6610 -3.8836 1.2310
C 0.1836 -2.9416 -1.0694
C -1.1455 -3.6597 -1.0966
H -0.5182 -1.5399 -3.8984
H -0.7208 -3.2553 -3.5435
H 0.7675 -2.6892 -4.2723
H 1.5279 -0.6426 -4.1021
H 3.1357 -0.4685 -3.4196
H 1.8266 0.5975 -2.8915
H 4.4237 -0.8627 -1.7342
H 4.2950 -0.5657 -0.0055
H 3.4797 0.5073 -1.1451
H 2.5628 -2.1115 2.2104
H 4.0244 -1.9352 1.2434
H 3.3062 -3.5183 1.4628
H 1.4547 -4.6114 1.4049
H -0.2578 -4.4332 1.0660
H 0.5521 -3.2898 2.1391
H -1.0135 -4.7309 -1.2598
H -1.7857 -3.2615 -1.8799
H -1.6763 -3.5061 -0.1579
C -2.6527 -1.2461 1.8183
C -2.4189 -0.4324 0.5770
N -1.9299 0.8268 0.7241
N -2.4310 1.7993 -0.0850
C -1.6378 2.6098 -0.6763
S 0.0884 2.4228 -0.7282
S -2.2970 3.9939 -1.5088
C -4.0964 3.8278 -1.1440
C -4.4197 4.2455 0.2513
C -4.7275 3.3021 1.2227
C -5.0144 3.7012 2.5160
C -4.9979 5.0445 2.8516
C -4.6939 5.9900 1.8865
C -4.4058 5.5932 0.5945
C -3.0479 -0.7698 -0.6997
C -4.3302 -1.2802 -0.8712
C -4.8635 -1.4271 -2.1391
C -4.1306 -1.0318 -3.2481
C -2.8443 -0.5396 -3.1079
C -2.2660 -0.4431 -1.8423
O -1.0075 -0.0767 -1.6502
H -2.3790 -0.6666 2.7003
H -2.0638 -2.1660 1.8168
H -3.7079 -1.5169 1.8821
H -4.3545 2.7874 -1.3324
H -4.5686 4.4783 -1.8800
H -4.7315 2.2544 0.9627
H -5.2506 2.9619 3.2666
H -5.2219 5.3547 3.8618
H -4.6804 7.0391 2.1430
H -4.1593 6.3282 -0.1581
H -4.9241 -1.5281 -0.0040
H -5.8627 -1.8199 -2.2586
H -4.5643 -1.1112 -4.2337
H -2.2809 -0.2182 -3.9725
O 1.9164 0.8974 0.9699
C 1.5831 0.8897 2.3658
C 0.4415 -0.1550 2.4942
O -0.1195 -0.3539 3.5516
O 0.1977 -0.7819 1.4053
C 1.1240 2.2723 2.7980
C -0.2143 2.6179 2.9257
C -0.5604 3.8880 3.3582
C 0.4185 4.8279 3.6309
C 1.7509 4.5042 3.4460
C 2.1012 3.2361 3.0266
C 2.7571 0.4514 3.2290
C 4.0566 0.4851 2.7340
C 5.1195 0.0651 3.5158
C 4.9006 -0.3622 4.8125
C 3.6134 -0.3595 5.3224
C 2.5464 0.0472 4.5429
H 2.3352 1.7506 0.7774
H -0.9947 1.9012 2.7048
H -1.6012 4.1418 3.4933
H 0.1461 5.8083 3.9937
H 2.5216 5.2336 3.6442
H 3.1445 2.9895 2.8918
H 4.2427 0.8320 1.7276
H 6.1200 0.0792 3.1057
H 5.7208 -0.6912 5.4317
H 3.4271 -0.6766 6.3363
H 1.5478 0.0373 4.9522

The HOMO-LUMO gap (alpha / beta) is 7.7 / 6.8 eV. The calculation puts the HOMO energy (alpha / beta) at -7.555 / -7.945 eV. As for the spin multiplicity: 2. Its LUMO energy (alpha / beta) is 0.132 / -1.130 eV.

Results of the Löwdin charge analysis, in e, for atoms 1 through 2: number 1, Ti, carries 0.910; number 2, C, carries -0.023

(2)
Computed, not measured: C42H43N2O4S2Ti as an isolated structure, with ωB97M-V/def2-TZVPD.

Geometry (Å):
Ti 0.2960 -0.2451 0.2321
C 0.5543 3.7995 2.4993
C 0.2496 3.6001 1.0321
C -1.0768 3.4119 0.6148
C -2.1720 3.2688 1.6524
C -1.3809 3.3765 -0.7509
C -2.8053 3.2523 -1.2366
C -0.3585 3.5259 -1.6961
C -0.6858 3.5682 -3.1704
C 0.9695 3.6225 -1.2809
C 2.0632 3.7583 -2.3124
C 1.2789 3.6248 0.0839
C 2.7270 3.6140 0.5146
H 0.6763 2.8462 3.0196
H -0.2438 4.3520 2.9923
H 1.4631 4.3796 2.6382
H -2.7638 4.1832 1.7501
H -1.7675 3.0225 2.6293
H -2.8839 2.4773 1.4045
H -3.4844 2.8774 -0.4738
H -2.8774 2.5825 -2.0916
H -3.1971 4.2252 -1.5465
H -0.5454 2.5870 -3.6351
H -0.0420 4.2729 -3.6943
H -1.7145 3.8721 -3.3486
H 2.1922 4.8064 -2.6010
H 1.8381 3.1893 -3.2114
H 3.0197 3.4009 -1.9425
H 3.2669 2.8316 -0.0222
H 2.8346 3.3998 1.5737
H 3.2313 4.5611 0.3058
C 3.9352 -1.6216 2.4319
C 2.5500 -1.1691 2.0595
N 2.2272 -0.9165 0.8303
N 3.2526 -1.1059 -0.1067
C 2.9891 -0.6020 -1.2609
S 1.5886 0.3449 -1.6942
S 4.1315 -0.7892 -2.5616
C 5.3166 -1.9559 -1.8417
C 4.7790 -3.3443 -1.6172
C 4.9684 -3.9725 -0.3944
C 4.4985 -5.2605 -0.1795
C 3.8270 -5.9318 -1.1894
C 3.6376 -5.3116 -2.4175
C 4.1132 -4.0281 -2.6297
C 1.5569 -1.0066 3.1442
C 1.7275 -1.7207 4.3428

Assignment:
Reproduce the lines earlier on up to the one that holds "1.8381 3.1893", that line included.

Outcome:
(1)
Computed, not measured: C42H43N2O4S2Ti as an isolated structure, with ωB97M-V/def2-TZVPD.

Geometry (Å):
Ti -0.2734 0.0974 -0.0669
C -0.0107 -2.4360 -3.5516
C 0.6181 -2.2291 -2.1973
C 1.7176 -1.3718 -2.0795
C 2.0736 -0.4249 -3.1935
C 2.5182 -1.3914 -0.9281
C 3.7519 -0.5286 -0.9416
C 2.2060 -2.2723 0.1118
C 3.0814 -2.4631 1.3182
C 1.0046 -2.9987 0.0627
C 0.6610 -3.8836 1.2310
C 0.1836 -2.9416 -1.0694
C -1.1455 -3.6597 -1.0966
H -0.5182 -1.5399 -3.8984
H -0.7208 -3.2553 -3.5435
H 0.7675 -2.6892 -4.2723
H 1.5279 -0.6426 -4.1021
H 3.1357 -0.4685 -3.4196
H 1.8266 0.5975 -2.8915
H 4.4237 -0.8627 -1.7342
H 4.2950 -0.5657 -0.0055
H 3.4797 0.5073 -1.1451
H 2.5628 -2.1115 2.2104
H 4.0244 -1.9352 1.2434
H 3.3062 -3.5183 1.4628
H 1.4547 -4.6114 1.4049
H -0.2578 -4.4332 1.0660
H 0.5521 -3.2898 2.1391
H -1.0135 -4.7309 -1.2598
H -1.7857 -3.2615 -1.8799
H -1.6763 -3.5061 -0.1579
C -2.6527 -1.2461 1.8183
C -2.4189 -0.4324 0.5770
N -1.9299 0.8268 0.7241
N -2.4310 1.7993 -0.0850
C -1.6378 2.6098 -0.6763
S 0.0884 2.4228 -0.7282
S -2.2970 3.9939 -1.5088
C -4.0964 3.8278 -1.1440
C -4.4197 4.2455 0.2513
C -4.7275 3.3021 1.2227
C -5.0144 3.7012 2.5160
C -4.9979 5.0445 2.8516
C -4.6939 5.9900 1.8865
C -4.4058 5.5932 0.5945
C -3.0479 -0.7698 -0.6997
C -4.3302 -1.2802 -0.8712
C -4.8635 -1.4271 -2.1391
C -4.1306 -1.0318 -3.2481
C -2.8443 -0.5396 -3.1079
C -2.2660 -0.4431 -1.8423
O -1.0075 -0.0767 -1.6502
H -2.3790 -0.6666 2.7003
H -2.0638 -2.1660 1.8168
H -3.7079 -1.5169 1.8821
H -4.3545 2.7874 -1.3324
H -4.5686 4.4783 -1.8800
H -4.7315 2.2544 0.9627
H -5.2506 2.9619 3.2666
H -5.2219 5.3547 3.8618
H -4.6804 7.0391 2.1430
H -4.1593 6.3282 -0.1581
H -4.9241 -1.5281 -0.0040
H -5.8627 -1.8199 -2.2586
H -4.5643 -1.1112 -4.2337
H -2.2809 -0.2182 -3.9725
O 1.9164 0.8974 0.9699
C 1.5831 0.8897 2.3658
C 0.4415 -0.1550 2.4942
O -0.1195 -0.3539 3.5516
O 0.1977 -0.7819 1.4053
C 1.1240 2.2723 2.7980
C -0.2143 2.6179 2.9257
C -0.5604 3.8880 3.3582
C 0.4185 4.8279 3.6309
C 1.7509 4.5042 3.4460
C 2.1012 3.2361 3.0266
C 2.7571 0.4514 3.2290
C 4.0566 0.4851 2.7340
C 5.1195 0.0651 3.5158
C 4.9006 -0.3622 4.8125
C 3.6134 -0.3595 5.3224
C 2.5464 0.0472 4.5429
H 2.3352 1.7506 0.7774
H -0.9947 1.9012 2.7048
H -1.6012 4.1418 3.4933
H 0.1461 5.8083 3.9937
H 2.5216 5.2336 3.6442
H 3.1445 2.9895 2.8918
H 4.2427 0.8320 1.7276
H 6.1200 0.0792 3.1057
H 5.7208 -0.6912 5.4317
H 3.4271 -0.6766 6.3363
H 1.5478 0.0373 4.9522

The HOMO-LUMO gap (alpha / beta) is 7.7 / 6.8 eV. The calculation puts the HOMO energy (alpha / beta) at -7.555 / -7.945 eV. As for the spin multiplicity: 2. Its LUMO energy (alpha / beta) is 0.132 / -1.130 eV.

Results of the Löwdin charge analysis, in e, for atoms 1 through 2: number 1, Ti, carries 0.910; number 2, C, carries -0.023

(2)
Computed, not measured: C42H43N2O4S2Ti as an isolated structure, with ωB97M-V/def2-TZVPD.

Geometry (Å):
Ti 0.2960 -0.2451 0.2321
C 0.5543 3.7995 2.4993
C 0.2496 3.6001 1.0321
C -1.0768 3.4119 0.6148
C -2.1720 3.2688 1.6524
C -1.3809 3.3765 -0.7509
C -2.8053 3.2523 -1.2366
C -0.3585 3.5259 -1.6961
C -0.6858 3.5682 -3.1704
C 0.9695 3.6225 -1.2809
C 2.0632 3.7583 -2.3124
C 1.2789 3.6248 0.0839
C 2.7270 3.6140 0.5146
H 0.6763 2.8462 3.0196
H -0.2438 4.3520 2.9923
H 1.4631 4.3796 2.6382
H -2.7638 4.1832 1.7501
H -1.7675 3.0225 2.6293
H -2.8839 2.4773 1.4045
H -3.4844 2.8774 -0.4738
H -2.8774 2.5825 -2.0916
H -3.1971 4.2252 -1.5465
H -0.5454 2.5870 -3.6351
H -0.0420 4.2729 -3.6943
H -1.7145 3.8721 -3.3486
H 2.1922 4.8064 -2.6010
H 1.8381 3.1893 -3.2114